European Parliament resolution of 13 December 2018 with recommendations to the Commission on expedited settlement of commercial disputes (2018/2079(INL))
The European Parliament,
– having regard to Article 225 of the Treaty on the Functioning of the European Union (TFEU),
– having regard to Article 67(4) TFEU and 81(2) TFEU,
– having regard to Article 19(1) of the Treaty on European Union (TEU) and Article 47 of the Charter of Fundamental Rights of the European Union (‘the Charter’),
– having regard to the study from the Directorate General for internal policies entitled ‘Building competence in commercial law in the Member States’,
– having regard to the 2018 EU Justice Scoreboard,
– having regard to the 2016 European Judicial Training Network (EJTN) ‘Judicial Training Principles’(1),
– having regard to the Union acquis in the area of judicial cooperation in civil matters,
– having regard to Rules 46 and 52 of its Rules of Procedure,
– having regard to the report of the Committee on Legal Affairs (A8-0396/2018),
A. whereas the right to a fair and public hearing within a reasonable time, as enshrined in Article 47 of the Charter and in Article 6 of the European Convention on Human Rights, constitutes one of the fundamental guarantees of the rule of law and of democracy and is an intrinsic part of civil proceedings as a whole;
B. whereas the introduction of a European Expedited Civil Procedure could contribute to the modernisation of national proceedings, a level playing field for businesses and increased economic growth thanks to effective and efficient judicial systems, while at the same time facilitating access to justice in the Union and helping to uphold the fundamental freedoms of the Union;
C. Whereas the 2018 Justice Scoreboard showed that the availability of legal aid and the level of court fees have a key impact on access to justice, in particular for citizens in poverty;
D. whereas judicial cooperation has been promoted, supported and encouraged by several procedural acts of secondary law of the Union, including the Small Claims Regulation, the Legal Aid Directive, the Regulation on taking of evidence and the Regulation on service of documents;
E. whereas the goals of judicial cooperation between Member States are, inter alia, to ensure the full respect of the right to effective remedy and a fair trial in cross-border cases, to guarantee effective and smooth judicial procedures also in those situations and to establish mutual trust in judiciary systems, which is the basis for further mutual recognition of judgments across the Union;
F. whereas many issues with regard to procedural law in the area of civil justice are regulated at the national level, thus procedural law in this area differs from one Member State to another, which is in line with principle of subsidiarity and proportionality; whereas an accelerated procedure could lead to the necessary approximation of procedural regimes in the Union;
G. whereas it is necessary to step up enhanced cooperation between the Member State authorities and judicial systems at Union level, with a view to removing any obstacles that might arise from incompatibilities between different judicial and administrative systems;
H. whereas the Brussels I Regulation sets basic rules on jurisdiction, recognition and enforcement of civil and commercial cross-border matters in the Union; whereas the recast version, which applies from 2015 (Brussels Ia), introduced a number of key adjustments for the resolution of EU cross-border disputes, saving time and money for businesses and individuals;
I. whereas the Rome I Regulation lays down rules on law applicable to civil and commercial contractual obligations;
J. whereas procedural rules should guarantee both protection of the rights of the parties and speedy settlement of disputes;
K. whereas settlement of commercial matters in public courts in the Member States is, in general, slow and fails to meet the expectations of parties involved in commercial disputes, a fact that is accentuated by the introduction of the European small claims procedure, which has, by contrast, led to substantially faster settlement of consumer disputes; and whereas proper use of Information and Communication Technologies in courts contributes to speeding up proceedings and to reducing costs.
L. whereas the slow settlement of commercial disputes in the Union might lead commercial parties to seek alternative dispute settlement, or dispute settlement in non-member States and choose to apply the national law of a non-member State to contracts;
M. whereas high quality settlement of commercial disputes depends on a high level of competence and experience in these matters in courts, among judges and lawyers and legal practitioners;
N. whereas the availability of a rapid and cost-effective fast-track procedure supported by highly experienced and competent judges and lawyers in the Member States would make a decision to choose the national law of a Member State more likely and as a consequence enrich the competence in civil and commercial matters in the Member States;
O. whereas it seems necessary to find a suitable solution as regards the different language regimes which could consist of harmonised forms, available in all the official languages of the Union;
P. whereas courts and chambers specialised in commercial matters will guarantee a higher level of competence and independence in such matters and thereby attract such cases to the courts of the Member States;
1. Notes that the settlement of commercial matters is far slower than it could be, taking on average between three and four years and that this leads to substantial losses for business, and not only in economic terms but also as regards time, energy and other resources that could be diverted for other opportunities;
2. Stresses the need to ensure the full respect of the right of the parties to an effective remedy and to a fair trial, as established in the Charter of Fundamental Rights of the European Union, and to guarantee the high quality of judicial proceedings in commercial matters;
3. Highlights the successful implementation of the European small claims procedure (ESCP), which provided a way of solving consumer and other cross-border disputes regarding small amounts within the Union in a swift and cost-effective way while upholding protection for the rights of the parties;
4. Emphasises that mutual trust is a complex notion and that many factors play a role in building that trust, such as judicial education and upskilling, cross-border judicial cooperation and exchange of experience and best practices between judges;
5. Stresses that, with regard to fair trial and access to justice, cooperation networks and databases enhancing judicial cooperation and exchange of information should be maintained and further expanded, including the European Judicial Network and the European e-Justice Portal, which is to become a one-stop-shop in the area of justice in the Union;
6. Contends that the adoption of a regulation similar to the ESCP, the European Expedited Civil Procedure (EECP) applicable to cross-border commercial disputes would be the best way to address the long waiting times for commercial disputes in the Union, possibly making great savings for European businesses and mobilising unused capital;
7. Contends that commercial parties will be better placed to pay for representation and prepare for a court case which means that they have better prospects of protecting their rights, which would allow for a faster procedure;
8. Observes that such a procedure could build on requirements for thorough preparations by the parties before the procedure is launched, strict deadlines, few possibilities to add facts or evidence during the process and no separate appeal to procedural decisions, thus achieving a fast-track procedure;
9. Is of the opinion that such a strict procedural system is compatible with the protection of the rights of the parties on condition that the EECP should be voluntary and should only apply:
where the parties have agreed to make use of the procedure after the dispute has arisen, or
where the defendant accepts to participate in the procedure after the claimant has brought an action under the EECP, provided that the defendant has enough time to adequately prepare before the start of the procedure;
10. Believes that the EECP should in any case be valid only where the parties have been duly informed in advance of the consequences of consenting to use such a procedure; considers that the costs of the EECP should not be excessive for the parties, in order to guarantee the respect of the right of access to justice;
11. Stresses that parties to a dispute often only reach an amicable resolution when the circumstances and arguments are fully developed, which means that in a procedural system that required the parties to investigate the circumstances and develop their arguments further before going to court, more disputes would be resolved amicably at an earlier stage;
12. Observes that the aim to provide expedited and more cost-effective settlement of commercial disputes in the Union cannot be achieved solely through the introduction of a harmonised fast-track procedural system; to this aim, courts, judges, lawyers and legal practitioners that are highly proficient and experienced in commercial law and private international law would be needed in order to make such a procedural system efficient;
13. Emphasises that the current distribution in choice of law in commercial contracts between the different European jurisdictions is not equal across Member States;
14. Observes that choices of applicable law often are based on complex considerations, but that the combination of a foreign law and court often exposes a party to substantial economic risks, and that such provisions are specifically questionable if agreed as part of standard contracts or in situations where one of the parties has little or no chance of influencing the agreement in that respect;
15. Understands that language barriers could be an additional obstacle and thus another reason for choosing one law over another to be applicable;
16. Underlines that the availability of uniform standard forms, available in all the official languages of the Union, would facilitate access to the EECP;
17. Suggests, that in order to ensure uniform standard forms, implementing powers should be conferred on the Commission, exercised in accordance with the Inter-institutional Agreement of 13 April 2016 on Better Law-Making;
### Here the article breaks off for quantum chemistry results
~~~
79
Properties=species:S:1:pos:R:3:forces:R:3 method="wB97M-V/def2-TZVPD" max_force_ha_per_bohr=0.013 lumo_energy_ev=0.3 homo_energy_ev=-6.832 total_charge=0
Na -0.4775 -0.1296 0.6143 -0.587 0.222 -0.291
C -2.6715 -1.8150 -4.5895 -0.121 0.071 -0.038
P -1.5166 -2.7639 -3.5231 -0.004 0.012 0.046
C -1.7761 -4.4424 -4.2224 -0.039 -0.091 -0.008
C 0.0648 -2.3631 -4.3912 0.076 -0.100 -0.117
C 0.4895 -0.8958 -4.3116 0.021 0.060 -0.038
P 0.2979 -0.1421 -2.6337 0.116 0.006 0.180
C 1.4066 1.3081 -2.8498 0.061 0.054 -0.048
C 1.4461 -1.2392 -1.7031 0.088 -0.061 -0.017
H -2.4895 -1.9769 -5.6550 0.041 -0.025 -0.002
H -2.5857 -0.7480 -4.3745 0.011 -0.012 0.011
H -3.6966 -2.1128 -4.3642 0.009 -0.004 0.007
H -1.7058 -4.4578 -5.3127 0.001 0.022 -0.009
H -2.7589 -4.8146 -3.9274 0.015 0.028 0.005
H -1.0333 -5.1284 -3.8127 0.009 0.012 0.007
H -0.0069 -2.6705 -5.4407 -0.006 0.010 0.018
H 0.8309 -2.9983 -3.9363 0.014 0.046 0.023
H -0.0909 -0.2893 -5.0130 -0.053 -0.039 0.030
H 1.5390 -0.7969 -4.6118 -0.024 -0.010 0.005
H 2.3847 1.0193 -3.2453 -0.012 -0.014 -0.019
H 1.5524 1.7964 -1.8846 -0.012 -0.020 0.007
H 0.9521 2.0273 -3.5330 -0.009 0.005 -0.003
H 2.3518 -1.4429 -2.2827 -0.009 -0.004 -0.008
H 0.9588 -2.1863 -1.4681 -0.029 -0.010 -0.002
H 1.7439 -0.7623 -0.7678 -0.051 0.038 -0.013
Br -1.2557 -3.9280 4.0133 0.048 0.015 0.017
C -2.3391 -3.5530 2.5024 -0.154 -0.100 -0.006
C -3.4225 -4.4060 2.2403 -0.021 -0.040 0.036
C -4.2461 -4.1841 1.1777 0.108 0.169 -0.038
Br -5.6958 -5.3670 0.8657 -0.037 -0.045 0.003
C -4.0267 -3.0719 0.3198 -0.100 -0.146 0.035
C -4.8488 -2.7393 -0.7790 -0.018 0.015 -0.014
C -4.5567 -1.6397 -1.5319 0.086 0.048 0.030
C -3.4254 -0.8722 -1.1962 -0.082 0.041 -0.071
N -2.6470 -1.1428 -0.1819 0.064 -0.033 0.035
C -2.9290 -2.2260 0.5866 0.106 0.036 0.045
C -2.0277 -2.4537 1.7126 -0.043 0.123 -0.221
O -1.0470 -1.6572 1.9096 0.031 -0.520 0.452
H -3.6003 -5.2461 2.8979 0.005 -0.002 -0.011
H -5.7092 -3.3545 -1.0058 0.013 -0.015 0.009
H -5.1718 -1.3526 -2.3741 -0.011 -0.004 0.005
H -3.1574 -0.0070 -1.7949 0.006 0.003 -0.003
N -1.4881 1.4956 5.6102 -0.022 -0.075 0.035
C -1.4084 0.9738 4.3525 -0.025 -0.105 -0.030
N -1.2811 -0.3455 4.2560 0.038 0.227 0.241
S -1.4339 1.9967 3.0165 0.036 0.003 -0.111
H -1.7782 0.8993 6.3689 0.017 0.010 -0.010
H -1.7782 2.4561 5.6585 0.006 0.027 -0.007
H -1.2209 -0.9260 5.0765 -0.026 0.007 0.040
H -1.1855 -0.8138 3.3424 0.025 -0.081 -0.119
C 2.2544 1.1793 3.7012 -0.017 -0.022 0.059
N 2.9542 1.8164 2.5965 -0.054 0.072 -0.064
C 4.2242 2.4073 2.9557 0.089 0.099 -0.048
P 2.1583 2.1070 1.1818 -0.237 -0.090 0.169
O 1.2918 0.9515 0.8295 0.570 0.279 -0.185
N 1.2819 3.4964 1.2945 0.199 -0.017 0.061
C 1.5654 4.5553 2.2369 0.051 0.056 0.134
C 0.2034 3.7912 0.3733 -0.052 -0.079 -0.049
N 3.3407 2.3776 0.0638 0.009 0.114 -0.156
C 3.6878 3.6649 -0.4982 0.017 0.048 0.012
C 4.2225 1.2920 -0.3166 0.031 -0.113 0.035
H 2.9141 0.4448 4.1709 -0.016 0.018 0.013
H 1.3703 0.6686 3.3331 -0.070 -0.019 -0.006
H 1.9460 1.9139 4.4536 0.003 -0.032 0.016
~~~
18. Calls on the Commission to assess the need to review the Rome I, Rome II and Brussels Ia Regulations in order to strengthen the connection between the aim and subject matter of contracts and the law chosen while at the same time to ensure that the weaker parties in business-to-business relations and contracts are protected, and to preserve the autonomy of the parties in relation to the choice of law;
19. Emphasises that legislative measures cannot address these issues alone, practical measures to raise the expertise both of courts and of lawyers are also necessary, such as improved training in commercial matters and better access to Union law and the national law of the Member States, in particular case law;
20. Observes that commercial law and private international law are areas less codified than other areas of law, which means that there is a more important role for academic research, thus one of the measures to strengthen competence in commercial matters in the Member States is to make more resources available for research in this field;
21. Welcomes therefore the EJTN’s nine judicial training principles adopted at its 2016 General Assembly, in that they provide a common foundation and framework for Europe’s judiciary and judicial training institutions alike;
22. Stresses that also the quality of the law applicable to commercial matters and the degree to which it is well adapted to the practices and developments in the commercial sector is of great importance;
23. Pursuant to Article 225 TFEU, requests therefore the Commission to submit by 1 January 2020, on the basis of Article 81(2) TFEU, a proposal for a legislative act on a European Expedited Civil Procedure and, in accordance with the recommendations set out in the Annex hereto, following the assessment of the Commission of the need for such a review, a possible proposal for amendments to the Rome I and Rome II and Brussels Ia Regulations;
24. Invites the Commission and the Member States to supplement these proposals with other supporting measures aimed at raising the expertise in the Member States in commercial law and international private law.
25. Confirms that the recommendations annexed to this resolution respect fundamental rights, the principle of national procedural autonomy and the principles of subsidiarity and proportionality;
26. Considers that any financial implications of the proposal, in particular the costs of proceedings brought under the EECP, would be offset by equivalent savings, as the EEPC is likely to be substantially more cost-effective than the ordinary procedures of the Member States and given that the disputes in question would not be brought under the general procedural system of the Member State in question;
27. Emphasises that commercial law is only one of the areas in which further actions at Union level are needed to ensure better access to justice, higher quality of proceedings, stronger safeguards for the parties and quicker settlement of disputes;
28. Instructs its President to forward this resolution and the accompanying recommendations to the Commission and the Council, and to the parliaments and governments of the Member States.
I. European Expedited Civil Procedure
The main aim of the following proposal is to introduce a voluntary European Expedited Civil Procedure in order to provide European companies a possibility to reach a settlement of purely commercial business-to-business disputes of a cross-border nature within a reasonable time frame.
A European Expedited Civil Procedure could build on the following principles:
1. It should apply to cross-border commercial disputes to which the European Small Claims Procedure does not apply;
2. It should apply if the parties so agree after the dispute arises or if the claimant launches a claim under the procedure and the defendant accepts it;
3. It should apply only if the parties have been duly informed in advance of the consequences of consenting to use this procedure;
4. It should require the parties to prepare their claims to a high degree before going to court; paired with early preclusion of the possibility to raise new facts or new evidence in court;
5. It should not allow separate appeal against procedural decisions;
6. It could in principle be a written procedure, allowing for oral hearings where at least one of the parties so request;
7. It should, as a starting point, apply very short deadlines to the procedure, allowing the court, in agreement with the parties, to apply longer deadlines in cases of higher complexity;
8. Encourage in- and out-of-court amicable settlement of cross-border commercial disputes, including by way of mediation;
9. Encourage the use of modern technologies for the purpose of oral hearings, taking of evidence and service of documents;
[Here the page breaks off for records of molecules]
/*
1.
*/
10. The costs of the procedure should be limited, in order to guarantee the respect of the right of access to justice;
11. Allow for recognition and enforcement of the final judgment under the procedure in the simplest and most user-friendly way available under Union law.
II. Possible changes to Rome I, Rome II and Brussels Ia Regulations
The proposal on European Expedited Civil Procedure could be supported by a proposal to amend the Rome I and Rome II and Brussels Ia Regulations to achieve a stronger connection between the purpose and aim of agreements and the law chosen within the Union also to afford the parties to purely commercial contracts further autonomy while ensuring the protection of the weaker parties in business-to-business relations.
Amendments to the Rome I Regulation could include:
1. Consideration of reinforcement of the connection between the law chosen and the content, aim and purpose of the contract and of the parties;
2. Reconsideration of the rules applicable to the validity of a choice of law, this ought to be considered under the default law applicable to the contract.
== The entry is interrupted by quantum chemistry results ==
<<<
Molecular formula: C66H145N2O40P9
Method: DFT, ωB97M-V with the def2-TZVPD basis set

Computed properties:
SMILES = O=[N+]([O-])c1ccccc1.O=[N+]([O-])c1ccccc1.CCOP(=O)(OCC)OCC.CCOP(=O)(OCC)OCC.CCOP(=O)(OCC)OCC.CCOP(=O)(OCC)OCC.CCOP(=O)(OCC)OCC.CCOP(=O)(OCC)OCC.CCOP(=O)(OCC)OCC.CCOP(=O)(OCC)OCC.CCOP(=O)(OCC)OCC
strongest force on any atom = 3.7 eV/A
DFT total energy = -239289.7640 eV
net charge = 0
energy relative to the best compared isomer or geometry (same formula, charge and spin) = 0.0 kcal/mol
frontier orbital gap = 9.23 eV

Atoms and positions in Å:
O 22.464 15.622 15.088
N 22.406 16.845 15.269
O 22.984 17.432 16.155
C 21.320 17.643 14.528
C 20.706 17.083 13.382
C 19.802 17.907 12.720
C 19.557 19.256 13.009
C 20.269 19.771 14.112
C 21.125 18.949 14.902
H 20.928 16.047 12.952
H 19.274 17.393 11.937
H 18.829 19.866 12.520
H 20.180 20.801 14.446
H 21.587 19.442 15.753
O 15.795 17.805 11.679
N 15.349 17.258 12.677
O 15.153 17.843 13.730
C 14.901 15.827 12.558
C 15.020 15.088 11.394
C 14.727 13.744 11.509
C 14.202 13.158 12.648
C 14.076 13.960 13.789
C 14.453 15.291 13.766
H 15.487 15.567 10.475
H 14.682 13.108 10.592
H 13.776 12.193 12.569
H 13.717 13.479 14.693
H 14.267 15.903 14.642
C 19.422 9.032 17.128
C 19.060 10.466 17.284
O 17.700 10.633 16.748
P 17.321 12.143 16.240
O 15.904 12.263 15.815
O 17.632 12.937 17.573
C 17.392 14.371 17.489
C 16.731 14.928 18.669
O 18.419 12.572 15.212
C 17.989 12.449 13.776
C 19.232 12.160 12.886
H 19.355 8.742 16.084
H 20.325 8.747 17.641
H 18.630 8.398 17.583
H 19.132 10.687 18.381
H 19.728 11.065 16.630
H 18.382 14.778 17.312
H 16.783 14.615 16.576
H 16.401 15.937 18.409
H 15.898 14.330 19.050
H 17.387 14.969 19.523
H 17.123 11.756 13.631
H 17.542 13.417 13.524
H 19.998 12.887 13.020
H 19.694 11.173 13.138
H 18.878 12.171 11.890
C 17.311 27.155 12.039
C 18.651 27.370 12.764
O 18.553 27.031 14.184
P 19.397 27.747 15.270
O 19.478 29.237 15.136
O 18.712 27.258 16.636
C 18.527 28.206 17.660
C 17.103 28.076 18.211
O 20.730 26.997 15.206
C 21.904 27.402 15.841
C 22.646 28.586 15.217
H 17.127 26.131 12.000
H 16.497 27.654 12.527
H 17.429 27.563 11.023
H 19.359 26.692 12.351
H 18.996 28.409 12.789
H 19.208 28.038 18.472
H 18.613 29.193 17.235
H 17.142 28.412 19.208
H 16.395 28.548 17.526
H 16.997 26.984 18.244
H 21.810 27.683 16.870
H 22.643 26.604 15.781
H 22.901 28.396 14.221
H 22.063 29.461 15.411
H 23.569 28.706 15.785
C 13.188 20.892 25.380
C 12.481 21.437 24.089
O 13.141 22.686 23.786
P 12.423 23.924 23.096
O 10.986 23.927 23.423
O 12.674 23.818 21.543
C 13.963 23.501 20.974
C 13.728 23.376 19.553
O 13.233 25.167 23.562
C 12.751 25.914 24.802
C 13.635 25.615 25.941
H 14.246 20.671 25.129
H 13.078 21.736 26.062
H 12.662 19.977 25.701
H 12.632 20.777 23.225
H 11.388 21.508 24.176
H 14.617 24.336 21.163
H 14.268 22.617 21.483
H 14.591 23.397 18.921
H 13.081 22.507 19.337
H 13.059 24.173 19.274
H 12.724 26.895 24.381
H 11.692 25.696 24.904
H 13.202 26.202 26.793
H 13.603 24.576 26.233
H 14.679 25.994 25.704
>>>
III. Other measures to build competence in commercial matters in Member States
1. These proposals ought to be further supported by actions by the Commission and the Member States to build competence in commercial matters, such as:
a) training of judges and lawyers and legal practitioners in commercial matters;
b) simplified and enhanced access to Union and Member States’ national law, including jurisprudence;
c) further focus on commercial law and international private law in legal education;
d) additional resources to academic research in the fields of commercial law and international private law; and
e) the mastering of a foreign language and its legal terminology.
2. Furthermore, Member States are invited to ensure that courts applying the European Expedited Civil Procedure possess specific competence in the field of commercial law, for example by designating or reinforcing existing commercial courts or chambers.
3. In addition, the Commission is invited to further study the possibility to establish a European Commercial Court to supplement the courts of the Member States and offer litigants an additional, international forum specialised in settlement of commercial disputes.
4. As a final measure, Member States are invited to consider reviewing their laws applicable to commercial matters in business-to-business situations, as one of the important factors for choice of law is how well the effectiveness and the quality of the commercial law of a country.